Entries =
Entry 1:
DFT (PBE+U) results for crystalline Li2V3P5O18 at its relaxed geometry.

a = 13.2109 Å, b = 13.2109 Å, c = 12.6862 Å
α = 92.06°, β = 92.06°, γ = 21.24°
Last column: nearest neighbours and their distance in Å.
Element x y z (fractional)
Li  0.0229  0.3092  0.3671  3 O 2.03-2.10
Li  0.3092  0.0229  0.8671  3 O 2.03-2.10
Li  0.6908  0.9771  0.1329  3 O 2.03-2.10
Li  0.9771  0.6908  0.6329  3 O 2.03-2.10
V  0.0000  0.0000  0.0000  6 O 1.96-2.12
V  0.0000  0.0000  0.5000  6 O 1.96-2.12
V  0.2607  0.3453  0.3787  5 O 1.91-2.12
V  0.3453  0.2607  0.8787  5 O 1.91-2.12
V  0.6547  0.7393  0.1213  5 O 1.91-2.12
V  0.7393  0.6547  0.6213  5 O 1.91-2.12
P  0.2038  0.3418  0.1272  4 O 1.54-1.56
P  0.2307  0.7693  0.2500  4 O 1.52-1.61
P  0.3418  0.2038  0.6272  4 O 1.54-1.56
P  0.4272  0.4365  0.4047  4 O 1.51-1.63
P  0.4365  0.4272  0.9047  4 O 1.51-1.63
P  0.5635  0.5728  0.0953  4 O 1.51-1.63
P  0.5728  0.5635  0.5953  4 O 1.51-1.63
P  0.6582  0.7962  0.3728  4 O 1.54-1.56
P  0.7693  0.2307  0.7500  4 O 1.52-1.61
P  0.7962  0.6582  0.8728  4 O 1.54-1.56
O  0.0524  0.9013  0.1562  1 P 1.52
O  0.0987  0.9476  0.3438  1 P 1.52
O  0.1172  0.3388  0.8772  1 P 1.56
O  0.1394  0.7356  0.9298  1 P 1.51
O  0.1806  0.2528  0.6257  1 P 1.54
O  0.2515  0.3565  0.5365  1 P 1.55
O  0.2528  0.1806  0.1257  1 P 1.54
O  0.2644  0.8606  0.5702  1 P 1.51
O  0.2649  0.3440  0.7253  1 P 1.56
O  0.2800  0.4716  0.3831  1 P 1.54
O  0.2833  0.6287  0.4933  1 P 1.51
O  0.3388  0.1172  0.3772  1 P 1.56
O  0.3440  0.2649  0.2253  1 P 1.56
O  0.3565  0.2515  0.0365  1 P 1.55
O  0.3713  0.7167  0.0067  1 P 1.51
O  0.3977  0.5170  0.2915  2 P 1.61-1.63
O  0.4716  0.2800  0.8831  1 P 1.54
O  0.4830  0.6023  0.2085  2 P 1.61-1.63
O  0.5170  0.3977  0.7915  2 P 1.61-1.63
O  0.5284  0.7200  0.1169  1 P 1.54
O  0.6023  0.4830  0.7085  2 P 1.61-1.63
O  0.6287  0.2833  0.9933  1 P 1.51
O  0.6435  0.7485  0.9635  1 P 1.55
O  0.6560  0.7351  0.7747  1 P 1.56
O  0.6612  0.8828  0.6228  1 P 1.56
O  0.7167  0.3713  0.5067  1 P 1.51
O  0.7200  0.5284  0.6169  1 P 1.54
O  0.7351  0.6560  0.2747  1 P 1.56
O  0.7356  0.1394  0.4298  1 P 1.51
O  0.7472  0.8194  0.8743  1 P 1.54
O  0.7485  0.6435  0.4635  1 P 1.55
O  0.8194  0.7472  0.3743  1 P 1.54
O  0.8606  0.2644  0.0702  1 P 1.51
O  0.8828  0.6612  0.1228  1 P 1.56
O  0.9013  0.0524  0.6562  1 P 1.52
O  0.9476  0.0987  0.8438  1 P 1.52

Values from the calculation:
E (MP2020) (eV/cell): -442.06
E (eV per atom): -7.270
Symmetry: No. 15

***

Entry 2:
DFT (PBE+U) results for crystalline Mg3Fe2H4Se6O20 at its relaxed geometry.

a = 6.5725 Å, b = 8.0851 Å, c = 9.0573 Å
α = 85.71°, β = 78.93°, γ = 76.39°
Last column: nearest neighbours and their distance in Å.
Element x y z (fractional)
Mg  0.0000  0.0000  0.0000  6 O 2.03-2.16
Mg  0.1871  0.3242  0.7350  6 O 2.07-2.21
Mg  0.8129  0.6758  0.2650  6 O 2.07-2.21
Fe  0.3653  0.6031  0.8822  6 O 1.97-2.09
Fe  0.6347  0.3969  0.1178  6 O 1.97-2.09
H  0.1840  0.5323  0.4636  1 O 0.98
H  0.3518  0.3579  0.4434  1 O 0.99
H  0.6482  0.6421  0.5566  1 O 0.99
H  0.8160  0.4677  0.5364  1 O 0.98
Se  0.1667  0.2911  0.1285  3 O 1.71-1.78
Se  0.2636  0.9229  0.6344  3 O 1.69-1.77
Se  0.3001  0.7825  0.2234  3 O 1.70-1.79
Se  0.6999  0.2175  0.7766  3 O 1.70-1.79
Se  0.7364  0.0771  0.3656  3 O 1.69-1.77
Se  0.8333  0.7089  0.8715  3 O 1.71-1.78
O  0.0442  0.9435  0.7794  1 Se 1.74
O  0.0839  0.5671  0.8386  1 Se 1.76
O  0.1062  0.6850  0.3118  1 Se 1.70, 1 H 1.84
O  0.1657  0.2036  0.9624  1 Se 1.71
O  0.2396  0.4261  0.5173  2 H 0.98-0.99
O  0.2694  0.7965  0.0309  1 Se 1.79
O  0.3300  0.4399  0.0705  1 Se 1.78
O  0.3646  0.0921  0.6535  1 Se 1.69
O  0.4431  0.7517  0.7075  1 Se 1.77, 1 H 1.84, 1 Fe 1.97
O  0.4739  0.3817  0.7689  1 Se 1.75
O  0.5261  0.6183  0.2311  1 Se 1.75
O  0.5569  0.2483  0.2925  1 Se 1.77, 1 H 1.84, 1 Fe 1.97
O  0.6354  0.9079  0.3465  1 Se 1.69
O  0.6700  0.5601  0.9295  1 Se 1.78
O  0.7306  0.2035  0.9691  1 Se 1.79
O  0.7604  0.5739  0.4827  2 H 0.98-0.99

Wanted =
Now retype all of the contents above with every line break kept.

Here it is =
Entry 1:
DFT (PBE+U) results for crystalline Li2V3P5O18 at its relaxed geometry.

a = 13.2109 Å, b = 13.2109 Å, c = 12.6862 Å
α = 92.06°, β = 92.06°, γ = 21.24°
Last column: nearest neighbours and their distance in Å.
Element x y z (fractional)
Li  0.0229  0.3092  0.3671  3 O 2.03-2.10
Li  0.3092  0.0229  0.8671  3 O 2.03-2.10
Li  0.6908  0.9771  0.1329  3 O 2.03-2.10
Li  0.9771  0.6908  0.6329  3 O 2.03-2.10
V  0.0000  0.0000  0.0000  6 O 1.96-2.12
V  0.0000  0.0000  0.5000  6 O 1.96-2.12
V  0.2607  0.3453  0.3787  5 O 1.91-2.12
V  0.3453  0.2607  0.8787  5 O 1.91-2.12
V  0.6547  0.7393  0.1213  5 O 1.91-2.12
V  0.7393  0.6547  0.6213  5 O 1.91-2.12
P  0.2038  0.3418  0.1272  4 O 1.54-1.56
P  0.2307  0.7693  0.2500  4 O 1.52-1.61
P  0.3418  0.2038  0.6272  4 O 1.54-1.56
P  0.4272  0.4365  0.4047  4 O 1.51-1.63
P  0.4365  0.4272  0.9047  4 O 1.51-1.63
P  0.5635  0.5728  0.0953  4 O 1.51-1.63
P  0.5728  0.5635  0.5953  4 O 1.51-1.63
P  0.6582  0.7962  0.3728  4 O 1.54-1.56
P  0.7693  0.2307  0.7500  4 O 1.52-1.61
P  0.7962  0.6582  0.8728  4 O 1.54-1.56
O  0.0524  0.9013  0.1562  1 P 1.52
O  0.0987  0.9476  0.3438  1 P 1.52
O  0.1172  0.3388  0.8772  1 P 1.56
O  0.1394  0.7356  0.9298  1 P 1.51
O  0.1806  0.2528  0.6257  1 P 1.54
O  0.2515  0.3565  0.5365  1 P 1.55
O  0.2528  0.1806  0.1257  1 P 1.54
O  0.2644  0.8606  0.5702  1 P 1.51
O  0.2649  0.3440  0.7253  1 P 1.56
O  0.2800  0.4716  0.3831  1 P 1.54
O  0.2833  0.6287  0.4933  1 P 1.51
O  0.3388  0.1172  0.3772  1 P 1.56
O  0.3440  0.2649  0.2253  1 P 1.56
O  0.3565  0.2515  0.0365  1 P 1.55
O  0.3713  0.7167  0.0067  1 P 1.51
O  0.3977  0.5170  0.2915  2 P 1.61-1.63
O  0.4716  0.2800  0.8831  1 P 1.54
O  0.4830  0.6023  0.2085  2 P 1.61-1.63
O  0.5170  0.3977  0.7915  2 P 1.61-1.63
O  0.5284  0.7200  0.1169  1 P 1.54
O  0.6023  0.4830  0.7085  2 P 1.61-1.63
O  0.6287  0.2833  0.9933  1 P 1.51
O  0.6435  0.7485  0.9635  1 P 1.55
O  0.6560  0.7351  0.7747  1 P 1.56
O  0.6612  0.8828  0.6228  1 P 1.56
O  0.7167  0.3713  0.5067  1 P 1.51
O  0.7200  0.5284  0.6169  1 P 1.54
O  0.7351  0.6560  0.2747  1 P 1.56
O  0.7356  0.1394  0.4298  1 P 1.51
O  0.7472  0.8194  0.8743  1 P 1.54
O  0.7485  0.6435  0.4635  1 P 1.55
O  0.8194  0.7472  0.3743  1 P 1.54
O  0.8606  0.2644  0.0702  1 P 1.51
O  0.8828  0.6612  0.1228  1 P 1.56
O  0.9013  0.0524  0.6562  1 P 1.52
O  0.9476  0.0987  0.8438  1 P 1.52

Values from the calculation:
E (MP2020) (eV/cell): -442.06
E (eV per atom): -7.270
Symmetry: No. 15

***

Entry 2:
DFT (PBE+U) results for crystalline Mg3Fe2H4Se6O20 at its relaxed geometry.

a = 6.5725 Å, b = 8.0851 Å, c = 9.0573 Å
α = 85.71°, β = 78.93°, γ = 76.39°
Last column: nearest neighbours and their distance in Å.
Element x y z (fractional)
Mg  0.0000  0.0000  0.0000  6 O 2.03-2.16
Mg  0.1871  0.3242  0.7350  6 O 2.07-2.21
Mg  0.8129  0.6758  0.2650  6 O 2.07-2.21
Fe  0.3653  0.6031  0.8822  6 O 1.97-2.09
Fe  0.6347  0.3969  0.1178  6 O 1.97-2.09
H  0.1840  0.5323  0.4636  1 O 0.98
H  0.3518  0.3579  0.4434  1 O 0.99
H  0.6482  0.6421  0.5566  1 O 0.99
H  0.8160  0.4677  0.5364  1 O 0.98
Se  0.1667  0.2911  0.1285  3 O 1.71-1.78
Se  0.2636  0.9229  0.6344  3 O 1.69-1.77
Se  0.3001  0.7825  0.2234  3 O 1.70-1.79
Se  0.6999  0.2175  0.7766  3 O 1.70-1.79
Se  0.7364  0.0771  0.3656  3 O 1.69-1.77
Se  0.8333  0.7089  0.8715  3 O 1.71-1.78
O  0.0442  0.9435  0.7794  1 Se 1.74
O  0.0839  0.5671  0.8386  1 Se 1.76
O  0.1062  0.6850  0.3118  1 Se 1.70, 1 H 1.84
O  0.1657  0.2036  0.9624  1 Se 1.71
O  0.2396  0.4261  0.5173  2 H 0.98-0.99
O  0.2694  0.7965  0.0309  1 Se 1.79
O  0.3300  0.4399  0.0705  1 Se 1.78
O  0.3646  0.0921  0.6535  1 Se 1.69
O  0.4431  0.7517  0.7075  1 Se 1.77, 1 H 1.84, 1 Fe 1.97
O  0.4739  0.3817  0.7689  1 Se 1.75
O  0.5261  0.6183  0.2311  1 Se 1.75
O  0.5569  0.2483  0.2925  1 Se 1.77, 1 H 1.84, 1 Fe 1.97
O  0.6354  0.9079  0.3465  1 Se 1.69
O  0.6700  0.5601  0.9295  1 Se 1.78
O  0.7306  0.2035  0.9691  1 Se 1.79
O  0.7604  0.5739  0.4827  2 H 0.98-0.99